The Japanese beetle (JB) is a serious pest of turf and ornamental plants. Grubs feed on the roots of grass and adults feed on the foliage of more than 300 plant species. Japanese beetles were first found in United States in 1916, after being accidentally introduced into New Jersey. Until that time, this insect was known to occur only in Japan where it is not a major pest. It is controlled in the eastern United States by soil-inhabiting protozoans that are not present in Minnesota. There are two biological control agents, the fly Istocheta aldrichi and the tiphid wasp, Tiphia vernalis, but they do not control infestations.
There are a number of related beetles in the family Scarabaeidae that feed on the roots of grasses. In Minnesota, JB is the worst pest, so you need to identify grubs to species as the life history varies and management is not the same for all species. A management program consists of identifying grubs to species, determining grub numbers, identifying thresholds, timing pesticide application to smaller grubs, and monitoring the treated area for results.
Identifying adult Japanese beetles

Japanese beetle adults are approximately 3/8 inches in length with a dark metallic green head and metallic dark tan wings. Key characteristics for adult JB are two white rear tufts and five white lateral tufts of hair (Figure 1).
Identifying the grub stage of Japanese beetle
Japanese beetle larvae or grubs are “C” shaped and live in the soil and feed on grass roots. JB was recorded to feed on the roots of corn, beans, tomatoes, and strawberries. Grubs can be identified to species by the pattern of hairs on their brown hind ends (raster). Using a 10-power hand lens, you can see that the hairs on the raster of Japanese beetle form a small “V” shape just below the anal slit (Figure 2).

Scouting for grubs
Grubs chew off grass roots and reduce the ability of grass to take up enough water to withstand stresses of hot, dry weather. As a result, large dead patches of grass develop in grub infested areas. These dead patches can be rolled back like a carpet to expose the lack of turf roots. Grubs can be found in adjacent green areas. Early recognition of the problem can prevent this destruction. Starlings and crows, as well as moles, shrews, and skunks may be seen digging up grubs, also damaging the turf.
Grub populations between 7 and 15 per square foot can cause significant damage to non-irrigated turf. Irrigated turf can withstand a higher grub count because the increase in water compensates for the roots chewed off by the grub.
Japanese beetle life cycle
Adults emerge from the soil in early July, feed, mate, and lay eggs. In July adults are noticed feeding on vines, linden trees, roses, and many other ornamentals. Activity is most intense over a 6 to 8 week period, after which the beetles gradually die off. Individual beetles live about 60 days. Over 2 months females can lay a total of 60 eggs.
JB adults feed in full sun at the top of plants, moving downward as the leaves are consumed. Odors emitted from beetle-damaged leaves causes beetles to aggregate. Also, adults release an attraction pheromone that causes them to aggregate. At dusk, this pheromone is no longer produced and the females fly to turf to lay eggs. Females burrow 2 to 3 inches into the soil and lay their eggs. The grubs grow quickly and by late September are almost full-sized (about 1 inch long). When the soil cools to about 60°F in the fall, the grubs begin to move deeper. Most pass the winter 2 to 6 inches below the surface, although some may go as deep as 8 to 10 inches. Grubs feed again in May when ground temperatures are above 50°F (Figure 3).
Timing pesticide application
Adults fly long distances to food plants; so adult infestations do not indicate turf infestations. Timing of pesticide treatment is important. Insecticides for grubs can be applied from May through mid-June, when recently overwintered grubs (larvae) start feeding. However, these grubs are large and may be difficult to kill. Starting in mid- June most grubs are in the pupal stage and insecticides are not effective. In early July adults emerge to feed on plants, mate, and then at night fly to grass to lay eggs. The best time to apply insecticides for grubs is from mid-July until early September. Granular applied insecticides distributed on soil with a spreader are usually the best insecticides for JB (Figure 3).
Insecticide recommendations for grub control
If many adults are feeding on leaves in an area, it does not indicate a grub infestation in the turf. Before applying an insecticide for grubs, make sure you have a large infestation. Look for areas of brown turf and search in adjacent green areas for grubs and pupae. Insecticides are needed to control grubs and adults if the damage is extensive. Irrigating after applying an insecticide improves its insect control. However, a significant rainfall shortly after the application may reduce the insecticide's concentration below effective levels. Infestations should be checked one week after an insecticide is applied, especially if the original grub population was high. If after 10 days the grubs are still alive, apply a different product. Also, read the label carefully for cautions about their use (Tables 1 and 2).
The best time to apply insecticides for grubs is from mid-July until end of September. Granular applied insecticides distributed on soil with a spreader are usually the best insecticides for JB. There are conventional insecticides that kill grubs (imidacloprid) and biorational insecticides that conserve beneficial insects in turf (halofenozide and Acelepryn). In trials in Ohio milky spore disease (Bacillus popillae) has not been as successful in killing JB grubs as was reported in the 1960's. A beneficial nematode, Heterorhabditis bacteriophora, attacks JB grubs. Nematodes are microscopic parasitic roundworms that transport and feed on bacteria. When they find a grub, the nematodes penetrate the larva and inoculate it with bacteria, which quickly multiply within the grub's body. The nematode then feeds on the bacteria. Nematodes need to be applied to soil at night and the soil must be irrigated daily to kill it moist so the nematodes stay alive.
Insecticide recommendations for adult control
Removing beetles by hand may provide adequate protection for backyards, especially when beetle numbers are low. The presence of beetles on a plant attracts more beetles. Thus, by not allowing beetles to accumulate, plants will be less attractive to other beetles. One of the easiest ways to remove Japanese beetles from small plants is to shake them off into jars filled with soapy water.
With all insecticidal products, foliage and flowers should be thoroughly treated. The application may need to be repeated to prevent reinfestation. Follow label directions and avoid spraying under windy conditions. Never spray when bees are foraging. Be sure the insecticide is registered for use on the plant or crop you intend to spray. If it is a food crop, note the minimum number of days that must be observed between the date of the last application and the date of harvest.
Different chemicals are used on adults when feeding on foliage. Foliar sprays of chlorantraniliprole are effective against adults and has low toxicity to bees. Foliar sprays of contact insecticides kill adults and offer immediate knockdown, such as carbaryl, acephate, pyrethrins, and pyrethroids. Examples include pyrethroid products such as cyfluthrin (Tempo, Bayer Advanced Lawn & Garden Multi-Insect Killer), bifenthrin (TalstarOne, Onyx), deltamethrin (Deltagard), lambda cyhalothrin (Scimitar, Spectracide Triazicide), esfenvalerate (Ortho Bug-B-Gon Garden & Landscape Insect Killer) and permethrin (Spectracide Bug Stop Multi-Purpose Insect Control Concentrate and other brands). Both pyrethroids and carbaryl provide around 2 weeks of protection. For adults, repeated applications may be necessary because of the relatively short residual effect of the pesticides. Insecticides that are advertised as organic usually do not kill adults. Formulations with pyrethrins and PBO (piponeryl butoxide) are more effective. Neem products such as Azatrol may provide about 3-4 days deterrence of feeding. Insecticidal soap, extracts of garlic, hot pepper, or orange peels, and companion planting, are generally ineffective (Tables 1 and 2).
Soil-applied chlorantraniliprole is effective against grubs and has low toxicity to bees. Soil-applied imidacloprid is systemic and translocated around the plant and kills adults when feeding on foliage. However, when adults feed on petals of shrub roses rather than the spiny leaves, imidacloprid is not effective. Soil-applied imidacloprid used on linden or basswood trees or any plant visited by bees or beneficial insects, can potentially kill any bees or beneficial insects feeding on the pollen and nectar in the flowers.
JB traps: are they useful in controlling JB adults?
Pheromone traps contain a lure with the scent of geraniums and rose (geraniol) and the sex pheromone of the JB female. The pheromone is very powerful and will call in beetles from a few thousand feet. Research demonstrated that more beetles fly toward traps then are caught; resulting in surplus beetles that feed on your plants. Think twice before purchasing and installing a pheromone trap. Some growers have set pheromone traps over basins filled with soapy water with a white bottom (opaque white plastic bag) to increase the size of the area to catch beetles. Some testify that these pools fill with beetles that drown in the soap and reduce the numbers in the area. If you are really frustrated with JB numbers, please try this method and see if JB numbers on your plants are reduced.
Table 1. Insecticides to control Japanese beetle grubs and adults. Use for grubs when damage is observed. Use for adults when feeding and damage is observed on ornamentals. If a product does not work, switch to a different insecticide. a) Insecticides to control Japanese beetle grubs: incomplete list of professional and homeowner products. |
Common Name | Trade Name | Target | Class | Comments |
imidacloprid |
Merit, Menards Grub Control |
grubs |
neonicotinyl |
Low toxicity to mammals. |
clothianidin |
Arena |
grubs |
neonciotinyl |
Low toxicity to mammals. |
chlorantraniliprole |
GrubEx, Acelepryn |
grubs |
diamide |
Conserves adult predators and bees. Environmentally friendly. Available to professional applicators. |
trichlorfon |
Dylox |
grubs |
organophosphate |
High toxicity to birds, fish. Do not use within 100 yards of water. Available for homeowner use. Not effective in pH 8 water. |
Bacillus thuringiensis galleriae |
grubGONE!G |
grubs |
bacteria |
Better than Milky spore, Japademic Doom, not effective |
Heterorhabditis bacteriophora |
grubs |
nematodes |
Water before and daily after application. |
b) Insecticides to control Japanese beetle adults: incomplete list of professional and homeowner products
Common name |
Trade name |
Target |
Class |
Comments |
carbaryl |
Sevin |
adults |
carbamate |
High toxicity to bees, earthworms; moderately toxic to birds, fish. Do not use adjacent to water. Available for homeowner use. |
bifenthrin |
Talstar, Menards Insect Control, (many other names) |
adults |
pyrethroid |
High toxicity to honeybees, birds, fish. Do not use within 100 yards of water. |
cyfluthrin |
Tempo, Bayer Advanced Lawn & Garden Multi-Insect Killer |
adults |
pyrethroid |
High toxicity to birds, fish. Do not use adjacent to water. |
lambda- cyhalothrin |
Scimitar, Spectracide, Triazicide |
adults |
pyrethroid |
High toxicity to fish. |
permethrin |
Astro, Spectracide Bug Stop Multi- Purpose Insect Control Concentrate |
adults |
pyrethroid |
High toxicity to fish, bees. For home lawns only. |
esfenvalerate |
Ortho Bug-B-Gon Garden & Landscape Insect Killer |
adults |
pyrethroid |
High toxicity to honeybees. Odor may be a problem in public places. |
deltamethrin |
DeltaGard |
adults |
pyrethroid |
High toxicity to birds, fish. Do not use adjacent to water. |
chlorantranili prole |
Acelepryn |
adults |
diamide |
Conserves bees, predators |
pryrethrins+PBO (piperonly butoxide) | Pyganic | pyrethrins or alone less effective; | ||
Table 2. For nurseries, insecticides (professional) to add to soil media to control JB grubs.
Common name |
Trade name |
Class |
Comment |
bifenthrin |
Talstar |
pyrethroid |
For use in containers. |
imidacloprid |
Marathon |
chloronicotinyl |
For use in containers. |
Cultural control
Carefully select plant species that Japanese beetle adults do not like to feed on, when retrofitting or adding to your landscape or golf course. Certain common landscape plants are inevitably attacked and may be poor landscape choices (Table 3). The nursery industry can reduce Japanese beetle numbers in cultivated areas or containers by eliminating grasses that the grubs feed upon.
Table 3. Preferred plants of Japanese beetle.
a) Plants that attract beetles |
American chestnut |
apple |
grapes |
plum |
American elm |
birch |
hollyhock |
roses |
American linden |
black cherry |
horse chestnut |
walnut |
American mountain ash |
flowering crabapple |
Norway Maple |
b) Plants seldom damaged |
American elder |
**Crystal structures from another source follow**
Record 1
Compound: CsCeBiO4
Source: Alexandria via LeMat-Bulk
Functional: PBE
Structure: optimized geometry

extended XYZ file:
```
14
Lattice="-7.0541 2.3511 1.3809 3.2894 -4.9066 4.4482 2.3118 6.9912 -0.0936" Properties=species:S:1:pos:R:3 pbc="T T T"
Cs -3.4048 -0.7518 4.5964
Cs 1.9520 5.1875 1.1390
Ce -2.3712 4.6712 0.6436
Ce -3.5271 1.1756 0.6904
Bi -0.7264 2.2179 2.8677
Bi 2.8006 1.0423 2.1773
O -2.0760 4.2622 2.8480
O -1.6121 2.4803 0.5941
O -4.2204 3.3496 1.1046
O -3.0287 1.3811 2.8866
O 1.5758 3.0546 2.8488
O 0.1592 1.9554 5.1414
O 2.7675 1.0861 4.6308
O 0.6231 0.1735 2.8874
```

Calculated values
Space group: Imma
V (A^3/atom): 20.604
ΔE_f (raw) (eV per atom): -2.114

Record 2
Compound: Dy2PtI
Source: Alexandria via LeMat-Bulk
Functional: PBE
Structure: optimized geometry

extended XYZ file:
```
4
Lattice="-3.7036 -0.7803 -1.8261 -0.3147 -3.0184 -2.9069 -1.7494 -5.5311 5.9678" Properties=species:S:1:pos:R:3 pbc="T T T"
Dy -3.6778 -3.8448 -3.5703
Dy -1.5998 -3.1994 1.6087
Pt -2.6261 -3.4827 -1.0225
I -4.7660 -7.2666 0.1032
```

Calculated values
Space group: Cm
V (A^3/atom): 31.823
Excess energy over the best structure of this formula in the dataset (meV per atom): 16
ΔE_f (raw) (eV per atom): -1.117

Record 3
Compound: ZrBeSb2
Source: Alexandria via LeMat-Bulk
Functional: PBE
Structure: optimized geometry

extended XYZ file:
```
4
Lattice="3.2049 -0.0156 0.0000 -0.6539 3.1375 0.0000 0.0000 0.0000 9.1795" Properties=species:S:1:pos:R:3 pbc="T T T"
Sb 0.0000 0.0000 8.2946
Sb 1.2755 1.5609 2.8169
Zr 0.0000 0.0000 5.0898
Be 1.2755 1.5609 6.7473
```

Calculated values
Space group: Cmm2
V (A^3/atom): 23.052
ΔE_f (raw) (eV per atom): -0.044

Record 4
Compound: NaZrRe2
Source: Alexandria via LeMat-Bulk
Functional: PBE
Structure: optimized geometry

extended XYZ file:
```
4
Lattice="2.1845 -4.0818 0.2264 0.8538 -1.9464 4.1191 -2.3176 -3.8003 1.2925" Properties=species:S:1:pos:R:3 pbc="T T T"
Re 0.1802 -2.4571 1.4095
Re 0.5405 -7.3714 4.2285
Zr 0.3603 -4.9142 2.8190
Na 0.0000 0.0000 0.0000
```

Calculated values
Space group: Fm-3m
V (A^3/atom): 17.604
Excess energy over the best structure of this formula in the dataset (meV per atom): 0
E_form (eV/atom): 1.003

Record 5
Compound: Pt3SeS
Source: Alexandria via LeMat-Bulk
Functional: PBE
Structure: optimized geometry

extended XYZ file:
```
5
Lattice="-3.7110 -2.3758 -1.6797 -0.5459 -2.1054 4.1840 -2.8579 3.4871 1.3818" Properties=species:S:1:pos:R:3 pbc="T T T"
S -3.5574 -0.4971 1.9431
Se 0.0000 0.0000 0.0000
Pt -0.2729 -1.0527 2.0920
Pt -1.4290 1.7435 0.6909
Pt -1.8555 -1.1879 -0.8398
```

Calculated values
Space group: Pm-3m
V (A^3/atom): 20.972
Excess energy over the best structure of this formula in the dataset (meV per atom): 424
ΔE_f (raw) (eV per atom): 0.983

Record 6
Compound: SbIrBr4
Source: Alexandria via LeMat-Bulk
Functional: PBE
Structure: optimized geometry

extended XYZ file:
```
6
euomymus |
holly |
red oak |
spruce |
arborviate |
fir |
juniper |
rhododendron |
white ash |
black oak |
green ash |
pine |
scarlet oak |
white oak |
boxelder |
hemlock |
red maple |
silver maple |
white poplar |
common lilac |
Biological control

The spraying of insecticides on bee lawns for JB grubs and on leaves and flowers for JB adults, probably results in the most insecticide used in urban and park lands, which may have non-targeted consequences for pollinators. Fortunately, JB has a natural biocontrol agent that was discovered in 1988 in Connecticut that kills JB grubs and reduces reproduction in adult females that needs to be introduced into MN. The microsporidian (fungal) pathogen called Ovavesicula popilliae was studied at Michigan State University (MSU) and released in five states, Arkansas, Colorado, Kansas, Kentucky, and Michigan. For the long term, research is needed to survey greater MN for the presence of JB and the pathogen, which so far was found in two locations in Stillwater and UM Experiment Station Campus in Saint Paul. MN. Research is underway to identify, culture, and disseminate the biocontrol pathogen. For the short term, integrated pest management (IPM) programs using pollinator friendly chlorantraniliprole and microbial insecticides need to be developed that conserve pollinators and kill JB. However, recent research showed that chlorantraniliprole is highly toxic to larval and adult butterflies.
Although released by the MDA in the 1990's, the tachinid fly Istocheta aldrichi that parasitizes adults, and a wasp Tiphia vernalis that parasitizes overwintering grubs, did not cause much JB mortality and were not widely established.
The MN Department of Agriculture and the MN Department of Natural Resources list Japanese beetle (JB, Popillia japonica) as a highly destructive, invasive exotic pest (USDA 2017, CAB 2005). Since introduced from Japan in 1916, JB defoliates over 300 plant species, including, linden trees, basswood trees, apples, corn, and soybean. Adult beetles can aggregate on leaves and fruits and feed in large numbers, that renders the fruit unmarketable. In addition, the immature grub stage feeds on the roots of grasses in pastures, green space, and recreational turf. Japanese beetle damages owers, fruits, and foliage which results in fewer owers and less food for bees, as well as less fruits for wildlife. However, the spraying of insecticides on bee lawns for JB grubs and on plants and owers for adults, probably results in the more pollinator deaths. Fortunately, JB has a natural biocontrol agent that was discovered in 1988 in Connecticut killing JB grubs (Hanula and Andreadis 1988) that needs to be introduced into MN. The microsporidian (fungal) pathogen called Ovavesicula popilliae was studied at Michigan State University (MSU) (Perry et al. 2013, Smitley 2011) and released in four states. MSU identied the pathogen in MN JB. For the long term, research is needed to survey greater MN for the presence of JB and the pathogen, which so far was found in one location in MN. For the short term, IPM programs need to be developed that conserve pollinators and manage JB.The purpose of this research is to develop new management tactics to reduce economic and environmental damage caused by the exotic JB. The outcome is to reduce JB numbers locally and to slow its spread around the state of MN.